

  • AgentOrangeJuice
    AgentOrangeJuice Posts: 1,069 Member
    knt217 wrote: »
    knt217 wrote: »
    I ate Indian takeout tonight with my husband. He was supposed to be out of town, and I had my meal all planned...but then he didn't leave and I didn't have dinner for both of us and he wanted Indian, so I caved. I have no idea how many calories I ate. I probably had about a cup or cup and a half of rice, half a pint container of chicken tikki masala, and a half order of naan. I logged it picking the highest values and think I put in overestimated quantities. It was good, but I feel guilty, and I'm still hungry.

    Did you have mango lassi? Not having one is the only thing to feel guilty about

    I don't even know what that is! :/

    well now you know what to ask for next time, it's a mango drink.
  • lalabrucey
    lalabrucey Posts: 244 Member
    ShibaEars wrote: »
    IAmTheGlue wrote: »
    As promised, here are pictures of my pet pig. Hopefully these are not super huge, I consider it a success if I get them posted without screwing it all up.

    Shortly after I got her. (Notice the WoW on my laptop...I used to be a huge WoW player...part of how I got huge lol) She still smiles just like this when she's happy.

    Some mini pig, huh? lol

    Those bacon oreos look super gross. :neutral:

    Aww I love her smile!

    Such a gentle happy looking wee thing, made me smile, thank you :)
  • Italian_Buju
    Italian_Buju Posts: 8,030 Member
    IAmTheGlue wrote: »
    As promised, here are pictures of my pet pig. Hopefully these are not super huge, I consider it a success if I get them posted without screwing it all up.

    Shortly after I got her. (Notice the WoW on my laptop...I used to be a huge WoW player...part of how I got huge lol) She still smiles just like this when she's happy.

    Some mini pig, huh? lol

    Those bacon oreos look super gross. :neutral:

  • Lois_1989
    Lois_1989 Posts: 6,410 Member
    edited April 2015
    I watch my 600 lb life and feel secretly superior. It shows that there are people a lot bigger than I am. (I know, I'm sorry)

    It's alright. I watch Jeramy Kyle so I can instantly feel better about my life. I think that is why they make those programs. It's not to help the people on the show, it helps the millions of people watching it. Everyone collectively thinks "thank f*** I'm not her/him"
  • Lois_1989
    Lois_1989 Posts: 6,410 Member
    edited April 2015
    double post. Morning everyone! My SO woke me up at 7am on a Saturday to go to work and I was really looking forward to sleeping in, but I'm awake now so I thought I would catch up with this.

    Just realised, everyone goes to bed when I wake up. That's upsetting. :disappointed:
  • Lois_1989
    Lois_1989 Posts: 6,410 Member
    My guy friends tease me and say I would make a great housewife. And honestly, I agree with them. I would totally be an amazing housewife.

    If that is true @GalactusEmpire , you are every woman's dream.
  • adieann7
    adieann7 Posts: 2 Member
    I am unable to keep Nutella in the house because I eat it by the spoonful until it's gone...
  • threnjen
    threnjen Posts: 687 Member
    @GalactusEmpire marry me, I will leave my hubby ASAP

    @IAmTheGlue omg your pig is so cute. Also I recognize that WoW on your screen, that wasn't THAT long ago!
  • yesimpson
    yesimpson Posts: 1,372 Member
    @IAmTheGlue I am so jealous. I wanted a pet pig since I read Babe when I was about 7. When I tell people IRL they assume I want a little micro one which will stay small-dog-size forever, but althoughh piglets are cute, I am definitely in it for having a big fat hog in the end. I love pigs.
  • kellyjellybellyjelly
    kellyjellybellyjelly Posts: 9,480 Member
    Snuck a peak at someone's diary earlier and saw Quest bars, which made me crave them even though I've never had them (anyone else ever feel the same way about something?). Anyway... I started looking them up on Amazon and they're SO EXPENSIVE. Can anyone recommend these things? Are they good enough to justify their price? What flavor is the best? So curious.

    White Chocolate Raspberry & Cookie Dough are my favorites.
  • eMka11
    eMka11 Posts: 106 Member
    MoHousdon wrote: »
    I'm a 35 year old woman, and I LOVE The Vampire Diaries. There. I said it.

    It's my guilty pleasure too and I'm 37! Loved the books and enjoy watching it with my 14 yo daughter. I have a very soft spot for Ian Somerhalder...
    Also Johnny Depp is my favourite actor ever! He could act out the ohine book this guy and he can be so versatile - with Finding Neverland and Dead Man on one side and Pirates of the Carribean and Mr Wonka on the other.

  • eMka11
    eMka11 Posts: 106 Member
    Lois_1989 wrote: »
    double post. Morning everyone! My SO woke me up at 7am on a Saturday to go to work and I was really looking forward to sleeping in, but I'm awake now so I thought I would catch up with this.

    Just realised, everyone goes to bed when I wake up. That's upsetting. :disappointed:

    I'm in UK as well and have the same problem often :neutral:

  • Susieq_1994
    Susieq_1994 Posts: 5,361 Member
    KylerJaye wrote: »
    KylerJaye wrote: »
    Also, I hoard food. I can't have just one pack, box, tea, etc of something I like, I have to have 10 stored away in case I never see it again in stores. But I went through liking something a lot many times and having it discontinued, so that may be why I do that. I've been scarred by the food people.

    I totally do this too. all of my cupboards and freezer are packed to the max. mine is more of, "this is on sale, plus i have coupons, so it's only 75 cents! i must buy 10!!!"

    I also do this for both those reasons each of you posted.....I have a walk in pantry with several shelving units that my friends call "The Store"

    I have been told in the event of a Zombie Apocalypse they are coming to my house as we can all be well fed and clean for about a year......

    totally! my one close friend said that she's hiking to my house because not only does she know that she'll be well fed, but also always have clean teeth and deodorant!! lol

    This is so me! My husband calls me a food hoarder, but I'm also a hygiene-item-hoarder. Just as an example, I currently have:
    • About 5 kilos (yes, KILOS) of oats
    • About 3 kilos of peanut butter
    • About 5 boxes of tea "in case we run out and the store doesn't have the one I like"
    • Around 7 large bags of bread in the fridge and freezer
    • Around 7 spare deodorants
    • Around 4 spare family-sized bars of Dettol soap
    • Around 2 (of each) extra bottles of shower gel, shampoo, conditioner, lotion...

    And there are only two of us in this house! ;)

    Editing to add... And don't even get me STARTED on canned goods and packaged soups...

    I have a minimum of 30 bottles of each, laundry soap, dish soap, body wash, shampoo, conditioner, hand soap and about 12 boxes of dryer sheets.

    We use three different types of deodorant and I have about 25 of each one.

• Data records that have nothing to do with the text:
<<<
First-principles (PBE) data for a geometry-optimized AcZn2GaNi2 structure, as listed in Alexandria.

Calculated values
Density of states at the Fermi level: 3.4 states/eV/cell
ΔE_f: -154 meV/atom

abc: 4.454 4.454 6.010
angles: 90.00 90.00 90.00
Fractional coordinates of all 6 atoms:
Ac (0.000, 0.000, 0.000)
Zn (0.500, 0.500, 0.270)
Zn (0.500, 0.500, 0.730)
Ga (0.000, 0.000, 0.500)
Ni (0.000, 0.500, 0.500)
Ni (0.500, 0.000, 0.500)



First-principles (PBE) data for a geometry-optimized AcZnGaNi2 structure, as listed in Alexandria.

Calculated values
Density of states at the Fermi level: 2.3 states/eV/cell
ΔE_f: -396 meV/atom

abc: 6.112 6.112 6.112
angles: 140.31 140.31 57.39
Fractional coordinates of all 5 atoms:
Ac (0.000, 0.000, 0.000)
Zn (0.750, 0.250, 0.500)
Ga (0.250, 0.750, 0.500)
Ni (0.383, 0.383, 0.000)
Ni (0.617, 0.617, 0.000)



First-principles (PBE) data for a geometry-optimized Ac2Zn4Ga3Ni structure, as listed in Alexandria.

Calculated values
Density of states at the Fermi level: 6.2 states/eV/cell
ΔE_f: -397 meV/atom

abc: 4.471 4.471 10.278
angles: 90.00 90.00 90.00
Fractional coordinates of all 10 atoms:
Ac (0.000, 0.500, 0.242)
Ac (0.500, 0.000, 0.758)
Zn (0.000, 0.000, 0.500)
Zn (0.000, 0.500, 0.884)
Zn (0.500, 0.000, 0.116)
Zn (0.500, 0.500, 0.500)
Ga (0.000, 0.000, 0.000)
Ga (0.000, 0.500, 0.634)
Ga (0.500, 0.000, 0.366)
Ni (0.500, 0.500, 0.000)



First-principles (PBE) data for a geometry-optimized AcZnGa2Ni4 structure, as listed in Alexandria.

Calculated values
Density of states at the Fermi level: 3.7 states/eV/cell
ΔE_f: -368 meV/atom

abc: 9.085 9.085 9.085
angles: 26.02 26.02 26.02
Fractional coordinates of all 8 atoms:
Ac (0.000, 0.000, 0.000)
Zn (0.500, 0.500, 0.500)
Ga (0.233, 0.233, 0.233)
Ga (0.767, 0.767, 0.767)
Ni (0.133, 0.133, 0.133)
Ni (0.409, 0.409, 0.409)
Ni (0.591, 0.591, 0.591)
Ni (0.867, 0.867, 0.867)



First-principles (PBE) data for a geometry-optimized AcNpGa4 structure, as listed in Alexandria.

Calculated values
Density of states at the Fermi level: 14.3 states/eV/cell
ΔE_f: -228 meV/atom

abc: 5.688 5.688 5.688
angles: 60.00 60.00 60.00
Fractional coordinates of all 6 atoms:
Ac (0.000, 0.000, 0.000)
Np (0.750, 0.750, 0.750)
Ga (0.376, 0.376, 0.376)
Ga (0.376, 0.376, 0.871)
Ga (0.376, 0.871, 0.376)
Ga (0.871, 0.376, 0.376)



First-principles (PBE) data for a geometry-optimized AcNpGa2O8 structure, as listed in Alexandria.

Calculated values
E_tot: -7.471 eV/atom

abc: 6.091 6.091 6.091
angles: 107.30 107.30 113.91
Fractional coordinates of all 12 atoms:
Ac (0.000, 0.000, 0.000)
Np (0.250, 0.750, 0.500)
Ga (0.500, 0.500, 0.000)
Ga (0.750, 0.250, 0.500)
O (0.326, 0.119, 0.793)
O (0.326, 0.533, 0.207)
O (0.372, 0.039, 0.333)
O (0.467, 0.674, 0.793)
O (0.706, 0.039, 0.667)
O (0.881, 0.674, 0.207)
O (0.961, 0.294, 0.333)
O (0.961, 0.628, 0.667)



First-principles (PBE) data for a geometry-optimized AcGa4O7 structure, as listed in Alexandria.

Calculated values
E_tot: -6.262 eV/atom
>>>

    About a dozen toothpaste and brushes.

    At least a dozen boxes of tea and 10-30 of most food items we use on a regular basis.

    I actually make sure the pantry is shut when new people are in my house so they do not see it.

    You've definitely got ME beat hollow! Next time my husband teases, I'll refer him to this post. ;)
  • IAmTheGlue
    IAmTheGlue Posts: 701 Member
    Awww...I'm glad that you all liked my Petunia. She's a peach.

    That was when the Mists of Pandaria expansion first came out. I'm thinking it was about 2 1/2 years ago and pigs are full grown at 4 years so she's going to get a bit bigger. :)
  • shawnaes91
    shawnaes91 Posts: 60 Member
    My mom was just writing me how she needs to lose weight and doesn't now wat to do since shes got a bad back and knees.
    I told her to use myfitnesspal and to monitor her calories and log what she eats an stick to what it tells you to loose for your height and age. I also suggested she buy a scale and to measure her food out.

    I really hope she takes my advice. shes 200 pounds has diabetes, high blood pressure, and his cholesterol, she also has sleep apnea. I also told her any kind of movement would be helpful even if it was just walking at the slowest setting on a treadmill while she watches tv.

    I'm hoping she listens. :(
  • karen_fitzgibbon
    karen_fitzgibbon Posts: 736 Member
    My sister in law is a total c word. She is mean and nasty and just horrible. Well anyway the other day I overheard her telling my mother in law that my weight loss won't last and the only reason I'm doing it is to compete with her. (not true)
    So i swapped the labels for her salt and sugar. And I may have accidentally switched off the freezer. No regrets at all
  • tincanonastring
    tincanonastring Posts: 3,944 Member
    My guy friends tease me and say I would make a great housewife stay-at-home parent. And honestly, I agree with them. I would totally be an amazing housewife stay-at-home parent.

    +1 - I *kitten* rock at the following:
    • Laundry - all stages, including folding and putting away
    • Dishes
    • Cooking
    • Lunch Prep - I pack my lunch and my wife's lunch every day
    • Grocery Shopping
    • Meal Planning
    • Cleaning
    • Kid Doodies Duties
  • tincanonastring
    tincanonastring Posts: 3,944 Member
    KylerJaye wrote: »
    KylerJaye wrote: »
    Also, I hoard food. I can't have just one pack, box, tea, etc of something I like, I have to have 10 stored away in case I never see it again in stores. But I went through liking something a lot many times and having it discontinued, so that may be why I do that. I've been scarred by the food people.

    I totally do this too. all of my cupboards and freezer are packed to the max. mine is more of, "this is on sale, plus i have coupons, so it's only 75 cents! i must buy 10!!!"

    I also do this for both those reasons each of you posted.....I have a walk in pantry with several shelving units that my friends call "The Store"

    I have been told in the event of a Zombie Apocalypse they are coming to my house as we can all be well fed and clean for about a year......

    totally! my one close friend said that she's hiking to my house because not only does she know that she'll be well fed, but also always have clean teeth and deodorant!! lol

    This is so me! My husband calls me a food hoarder, but I'm also a hygiene-item-hoarder. Just as an example, I currently have:
    • About 5 kilos (yes, KILOS) of oats
    • About 3 kilos of peanut butter
    • About 5 boxes of tea "in case we run out and the store doesn't have the one I like"
    • Around 7 large bags of bread in the fridge and freezer
    • Around 7 spare deodorants
    • Around 4 spare family-sized bars of Dettol soap
    • Around 2 (of each) extra bottles of shower gel, shampoo, conditioner, lotion...

    And there are only two of us in this house! ;)

    Editing to add... And don't even get me STARTED on canned goods and packaged soups...

    I have a minimum of 30 bottles of each, laundry soap, dish soap, body wash, shampoo, conditioner, hand soap and about 12 boxes of dryer sheets.

    We use three different types of deodorant and I have about 25 of each one.

    About a dozen toothpaste and brushes.

    At least a dozen boxes of tea and 10-30 of most food items we use on a regular basis.

    I actually make sure the pantry is shut when new people are in my house so they do not see it.

    Costco FTW!!!!!!
  • tincanonastring
    tincanonastring Posts: 3,944 Member
    My sister in law is a total c word. She is mean and nasty and just horrible. Well anyway the other day I overheard her telling my mother in law that my weight loss won't last and the only reason I'm doing it is to compete with her. (not true)
    So i swapped the labels for her salt and sugar. And I may have accidentally switched off the freezer. No regrets at all

  • FluffySandwich
    FluffySandwich Posts: 1,293 Member
    That little piggy is too much for me to handle. I've been looking at minipig videos for a few months now and they are SO SO CUTE!!! I saw one little guy who was being given a bath...

    Just the cutest thing. I have a much harder time eating pork now!!!